**Request**
Filter the calculation results underneath: keep the lines with the word "gap".

**Contents**
┌──
(a)
This record from the Open Molecules 2025 dataset describes a structure of composition C50H41BrCl5KN6O5. The level of theory is wB97M-V/def2-TZVPD.

Values from the calculation:
Frontier orbital gap in eV: 6.32
LUMO in eV: 3.5
Total charge: -2

Each line ends with the Löwdin charge.
Cartesian coordinates (Å):
K 0.0976 -0.0835 0.0140  0.66
O 1.0880 -0.7885 2.9446  -0.02
C 1.1739 -2.1917 3.0705  -0.33
C 0.6947 -2.9086 1.7448  -0.64
O 1.0808 -4.0649 1.5441  0.02
O -0.0425 -2.2001 1.0178  -0.19
C 0.3150 -2.6499 4.2491  -0.12
C -0.6152 -3.6778 4.1577  -0.01
C -1.3732 -4.0405 5.2657  -0.09
C -1.2084 -3.3827 6.4738  -0.12
C -0.2828 -2.3498 6.5694  -0.09
C 0.4699 -1.9875 5.4654  -0.02
C 2.6345 -2.5194 3.3103  -0.13
C 3.6116 -1.5577 3.0695  -0.03
C 4.9581 -1.8581 3.2334  -0.10
C 5.3460 -3.1245 3.6436  -0.12
C 4.3735 -4.0873 3.8908  -0.10
C 3.0303 -3.7889 3.7271  -0.02
H 0.2754 -0.5440 2.4706  0.05
H -0.7465 -4.2013 3.2192  0.12
H -2.1020 -4.8372 5.1762  0.09
H -1.8028 -3.6641 7.3352  0.09
H -0.1564 -1.8198 7.5062  0.09
H 1.1770 -1.1695 5.5249  0.12
H 3.3051 -0.5739 2.7404  0.07
H 5.7020 -1.0951 3.0336  0.09
H 6.3961 -3.3622 3.7707  0.09
H 4.6664 -5.0818 4.2076  0.09
H 2.2779 -4.5459 3.9010  0.12
C 4.4361 -2.4673 -0.6758  -0.02
C 3.2239 -1.8533 -0.3195  -0.10
N 2.8962 -0.6333 -0.6835  0.11
C 3.7500 0.0566 -1.4578  -0.19
C 4.9867 -0.4699 -1.8774  -0.15
C 5.3167 -1.7722 -1.4575  -0.02
C 5.8667 0.3193 -2.6833  -0.04
C 5.5389 1.5793 -3.0402  -0.04
C 4.3016 2.1605 -2.6186  -0.16
C 3.9479 3.4812 -2.9412  -0.03
C 2.7600 3.9896 -2.4853  -0.05
C 1.9318 3.1600 -1.7155  -0.12
N 2.2313 1.9219 -1.4039  0.15
C 3.3979 1.4117 -1.8361  -0.18
H 4.6444 -3.4686 -0.3244  0.11
H 2.5040 -2.4031 0.2740  0.10
H 6.2651 -2.2031 -1.7590  0.11
H 6.8077 -0.1192 -2.9968  0.11
H 6.2087 2.1788 -3.6467  0.11
H 4.6226 4.0805 -3.5425  0.11
H 2.4516 5.0026 -2.7078  0.10
H 0.9826 3.5297 -1.3357  0.09
Br 4.4304 1.9447 1.5490  0.76
C 2.8255 2.9097 1.9633  -0.72
C 2.9646 4.2589 2.2472  -0.14
C 1.8157 4.9267 2.6457  -0.07
C 0.6346 4.2179 2.7644  -0.02
C 0.6119 2.8668 2.4302  -0.16
N 1.7086 2.2285 2.0065  0.13
C -0.7254 2.0989 2.5517  -0.66
O -1.5283 2.5924 3.3553  -0.01
O -0.8580 1.1140 1.7935  -0.18
H 3.9256 4.7452 2.1701  0.08
H 1.8569 5.9836 2.8817  0.10
H -0.2830 4.6657 3.1180  0.11
N -2.9240 -2.0456 0.5183  0.13
C -3.1058 -2.8027 -0.6355  -0.32
C -4.2067 -2.5851 -1.4681  -0.06
C -4.4135 -3.3760 -2.5861  -0.12
C -3.5321 -4.4008 -2.9024  -0.13
C -2.4310 -4.6158 -2.0816  -0.10
C -2.2158 -3.8345 -0.9584  -0.03
H -3.2078 -1.0803 0.4288  0.07
H -1.9909 -2.1262 0.9129  0.05
H -4.8872 -1.7692 -1.2462  0.10
H -5.2603 -3.1703 -3.2321  0.10
H -3.6793 -4.9968 -3.7958  0.09
H -1.7121 -5.3870 -2.3334  0.10
H -1.3308 -3.9762 -0.3480  0.10
C -1.8008 3.7700 -0.1242  -0.16
C -2.9354 4.7297 -0.5653  -0.17
N -3.8633 4.0361 -1.4582  -0.17
C -4.3364 2.8098 -0.7925  -0.15
C -3.1490 1.8478 -0.5136  -0.15
N -1.8930 2.5143 -0.8649  -0.15
C -1.8953 2.7941 -2.3037  -0.16
C -3.1320 3.6557 -2.6710  -0.17
H -1.8857 3.5374 0.9370  0.10
H -0.8128 4.2170 -0.2865  0.10
H -2.5443 5.5988 -1.1038  0.10
H -3.4967 5.1012 0.2965  0.11
H -5.0808 2.3381 -1.4383  0.10
H -4.8359 3.1071 0.1336  0.11
H -3.2198 0.9439 -1.1259  0.09
H -3.0930 1.5597 0.5390  0.11
H -1.8985 1.8347 -2.8263  0.07
H -0.9651 3.3145 -2.5575  0.10
H -3.8161 3.1008 -3.3140  0.06
H -2.8459 4.5725 -3.1967  0.10
Cl -4.3708 0.4722 -3.9657  0.60
C -3.0170 -0.6397 -4.2459  -0.71
C -1.9436 -0.5872 -3.3839  -0.12
C -0.9678 -1.5290 -3.6565  -0.69
Cl 0.4726 -1.5648 -2.6438  0.64
C -1.0366 -2.4647 -4.6874  -0.72
Cl 0.2052 -3.6477 -4.9370  0.62
C -2.1429 -2.4507 -5.5331  -0.73
Cl -2.2814 -3.6159 -6.8081  0.61
C -3.1546 -1.5219 -5.3148  -0.73
Cl -4.5605 -1.5421 -6.3373  0.60

***

(b)
This record from the Open Molecules 2025 dataset describes a structure of composition C50H41BrCl5KN6O5. The level of theory is wB97M-V/def2-TZVPD.

Values from the calculation:
Frontier orbital gap in eV: 6.68
LUMO in eV: 3.8
Total charge: -2
└──

**Response**
Frontier orbital gap in eV: 6.32
Frontier orbital gap in eV: 6.68